+++
{
  "formula": "C16H18ClMnN3S2",
  "method": "ωB97M-V/def2-TZVPD",
  "e_lumo_ha": [0.0112, 0.0106],
  "e_homo_ev": [-6.36, -7.13],
  "total_charge": 0,
  "energy_ev": -86869.5230,
  "s2": 8.764,
  "relative_energy_kcal_mol": 10.4,
  "homo_lumo_gap_ev": [6.66, 7.42],
  "spin_multiplicity": 6,
  "symbols": ["Mn", "Cl", "S", "S", "N", "N", "N", "C", "C", "C", "C", "C", "C", "C", "C", "C", "C", "C", "C", "C", "C", "C", "C", "H", "H", "H", "H", "H", "H", "H", "H", "H", "H", "H", "H", "H", "H", "H", "H", "H", "H"],
  "positions_angstrom": [[0.36352, -0.54004, 0.17761], [-2.06874, -3.39122, -1.77994], [2.26767, 0.53402, 4.05526], [2.74952, 0.33934, 1.04085], [0.44788, 0.02936, 2.31638], [-1.88791, -0.25567, -0.61643], [0.14616, 1.59675, -0.71996], [-2.03178, -0.23717, 5.05650], [2.20309, -2.34917, -2.74369], [-0.39325, -2.99065, -2.11550], [1.73360, 0.28297, 2.41188], [1.31141, -2.62249, -3.77285], [0.47414, -2.72975, -1.03023], [-1.15564, 2.03232, -0.18841], [-1.54305, -0.25714, 3.76227], [-2.23424, 1.16221, -0.80934], [0.00422, -2.94799, -3.43981], [0.15802, 0.28965, 5.93568], [0.06715, -2.70108, 0.35669], [-0.19157, 0.00090, 3.54779], [0.64656, 0.26713, 4.63478], [-1.18954, 0.03612, 6.13762], [1.79894, -2.39836, -1.41947], [-0.87738, -3.16551, 0.60172], [-3.07993, -0.44058, 5.23654], [-3.19832, 1.40709, -0.36438], [-2.52083, -0.72944, 0.01505], [-1.14024, 1.86538, 0.89005], [1.62266, -2.59746, -4.80859], [2.52330, -2.21628, -0.63457], [-1.36333, 3.08964, -0.36320], [0.20200, 1.78221, -1.71598], [-1.59108, 0.04653, 7.14270], [0.86273, -2.91720, 1.06526], [-2.18489, -0.48268, 2.91897], [0.91543, 2.09216, -0.27953], [-2.30748, 1.37519, -1.87744], [3.23287, -2.09871, -2.97083], [-0.71918, -3.18021, -4.21262], [0.81537, 0.49782, 6.77106], [-1.92325, -0.78144, -1.48190]],
  "mulliken_charge": [0.296, -0.211, -0.260, -0.387, 0.147, -0.316, -0.442, -0.679, -0.777, 0.251, 0.292, -0.453, 0.016, -0.314, -0.213, -0.732, -0.593, -0.507, -0.985, -0.612, 0.923, -0.480, -0.027, 0.442, 0.384, 0.364, 0.233, 0.204, 0.378, 0.438, 0.422, 0.229, 0.367, 0.358, 0.348, 0.251, 0.289, 0.394, 0.419, 0.383, 0.162]
}


(1)
C2H6N2O3 as an isolated structure, computed with ωB97M-V with the def2-TZVPD basis set.

Last column: natural (NBO) charge in e.
Element x y z (Å)
C  -1.5618  -0.2420  0.8807  -0.439
C  1.8445  0.2493  -0.8368  0.922
N  -0.4248  -0.0308  0.0053  -0.191
N  0.4301  -0.8744  -0.1141  -0.136
O  2.7277  -0.1919  0.2375  -0.743
O  2.0944  -0.2985  -1.9830  -0.701
O  1.2767  1.3794  -0.8036  -0.751
H  -1.1711  -0.4546  1.8638  0.228
H  -2.0827  -1.0786  0.5664  0.219
H  -2.1343  0.6706  0.7749  0.205
H  3.2241  0.6300  0.3738  0.482
H  2.2355  -1.2550  -2.0213  0.504
H  -0.2210  1.0063  -0.3375  0.400

Calculated values
relative energy (zero: lowest compared OMol25 entry of this formula, charge and spin) = 385.02 kJ/mol
highest occupied orbital energy = -9.3 eV
molar mass = 106.08 g mol⁻¹
spin multiplicity = 1
charge = 0


(2)
A 3-piece molecular cluster, C2H6N2O3 overall, computed with ωB97M-V with the def2-TZVPD basis set.

Last column: natural (NBO) charge in e.
Element x y z (Å)
C  -1.3893  0.4687  -0.1434  0.864
C  -2.8285  1.8208  -1.5896  -0.411
N  -2.3280  0.9713  -0.5909  -0.465
N  -1.8739  -2.2724  2.6298  0.007
O  -0.6017  -0.2429  0.3989  -0.614
O  6.6880  -0.7331  0.4284  -0.920
O  -0.7981  -2.3567  1.9589  -0.549
H  -3.1920  1.1178  -2.2940  0.220
H  -3.5357  2.5565  -1.2161  0.222
H  -1.9604  2.3074  -1.9927  0.208
H  6.1385  -1.2498  1.0570  0.461
H  6.1376  -0.9836  -0.3316  0.460
H  -0.4565  -1.4039  1.6853  0.518

Calculated values
relative energy (zero: lowest compared OMol25 entry of this formula, charge and spin) = 49.86 kJ/mol
highest occupied orbital energy (spin up / spin down) = -8.2 / -11.2 eV
⟨S²⟩ = 2.01
molar mass = 106.08 g mol⁻¹
spin multiplicity = 3
charge = 0


(3)
A 2-piece molecular cluster, C2H6N2O3S overall, computed with ωB97M-V with the def2-TZVPD basis set.

Last column: natural (NBO) charge in e.
+++
Print the whole of the calculation results earlier on unchanged.
{
  "formula": "C16H18ClMnN3S2",
  "method": "ωB97M-V/def2-TZVPD",
  "e_lumo_ha": [0.0112, 0.0106],
  "e_homo_ev": [-6.36, -7.13],
  "total_charge": 0,
  "energy_ev": -86869.5230,
  "s2": 8.764,
  "relative_energy_kcal_mol": 10.4,
  "homo_lumo_gap_ev": [6.66, 7.42],
  "spin_multiplicity": 6,
  "symbols": ["Mn", "Cl", "S", "S", "N", "N", "N", "C", "C", "C", "C", "C", "C", "C", "C", "C", "C", "C", "C", "C", "C", "C", "C", "H", "H", "H", "H", "H", "H", "H", "H", "H", "H", "H", "H", "H", "H", "H", "H", "H", "H"],
  "positions_angstrom": [[0.36352, -0.54004, 0.17761], [-2.06874, -3.39122, -1.77994], [2.26767, 0.53402, 4.05526], [2.74952, 0.33934, 1.04085], [0.44788, 0.02936, 2.31638], [-1.88791, -0.25567, -0.61643], [0.14616, 1.59675, -0.71996], [-2.03178, -0.23717, 5.05650], [2.20309, -2.34917, -2.74369], [-0.39325, -2.99065, -2.11550], [1.73360, 0.28297, 2.41188], [1.31141, -2.62249, -3.77285], [0.47414, -2.72975, -1.03023], [-1.15564, 2.03232, -0.18841], [-1.54305, -0.25714, 3.76227], [-2.23424, 1.16221, -0.80934], [0.00422, -2.94799, -3.43981], [0.15802, 0.28965, 5.93568], [0.06715, -2.70108, 0.35669], [-0.19157, 0.00090, 3.54779], [0.64656, 0.26713, 4.63478], [-1.18954, 0.03612, 6.13762], [1.79894, -2.39836, -1.41947], [-0.87738, -3.16551, 0.60172], [-3.07993, -0.44058, 5.23654], [-3.19832, 1.40709, -0.36438], [-2.52083, -0.72944, 0.01505], [-1.14024, 1.86538, 0.89005], [1.62266, -2.59746, -4.80859], [2.52330, -2.21628, -0.63457], [-1.36333, 3.08964, -0.36320], [0.20200, 1.78221, -1.71598], [-1.59108, 0.04653, 7.14270], [0.86273, -2.91720, 1.06526], [-2.18489, -0.48268, 2.91897], [0.91543, 2.09216, -0.27953], [-2.30748, 1.37519, -1.87744], [3.23287, -2.09871, -2.97083], [-0.71918, -3.18021, -4.21262], [0.81537, 0.49782, 6.77106], [-1.92325, -0.78144, -1.48190]],
  "mulliken_charge": [0.296, -0.211, -0.260, -0.387, 0.147, -0.316, -0.442, -0.679, -0.777, 0.251, 0.292, -0.453, 0.016, -0.314, -0.213, -0.732, -0.593, -0.507, -0.985, -0.612, 0.923, -0.480, -0.027, 0.442, 0.384, 0.364, 0.233, 0.204, 0.378, 0.438, 0.422, 0.229, 0.367, 0.358, 0.348, 0.251, 0.289, 0.394, 0.419, 0.383, 0.162]
}


(1)
C2H6N2O3 as an isolated structure, computed with ωB97M-V with the def2-TZVPD basis set.

Last column: natural (NBO) charge in e.
Element x y z (Å)
C  -1.5618  -0.2420  0.8807  -0.439
C  1.8445  0.2493  -0.8368  0.922
N  -0.4248  -0.0308  0.0053  -0.191
N  0.4301  -0.8744  -0.1141  -0.136
O  2.7277  -0.1919  0.2375  -0.743
O  2.0944  -0.2985  -1.9830  -0.701
O  1.2767  1.3794  -0.8036  -0.751
H  -1.1711  -0.4546  1.8638  0.228
H  -2.0827  -1.0786  0.5664  0.219
H  -2.1343  0.6706  0.7749  0.205
H  3.2241  0.6300  0.3738  0.482
H  2.2355  -1.2550  -2.0213  0.504
H  -0.2210  1.0063  -0.3375  0.400

Calculated values
relative energy (zero: lowest compared OMol25 entry of this formula, charge and spin) = 385.02 kJ/mol
highest occupied orbital energy = -9.3 eV
molar mass = 106.08 g mol⁻¹
spin multiplicity = 1
charge = 0


(2)
A 3-piece molecular cluster, C2H6N2O3 overall, computed with ωB97M-V with the def2-TZVPD basis set.

Last column: natural (NBO) charge in e.
Element x y z (Å)
C  -1.3893  0.4687  -0.1434  0.864
C  -2.8285  1.8208  -1.5896  -0.411
N  -2.3280  0.9713  -0.5909  -0.465
N  -1.8739  -2.2724  2.6298  0.007
O  -0.6017  -0.2429  0.3989  -0.614
O  6.6880  -0.7331  0.4284  -0.920
O  -0.7981  -2.3567  1.9589  -0.549
H  -3.1920  1.1178  -2.2940  0.220
H  -3.5357  2.5565  -1.2161  0.222
H  -1.9604  2.3074  -1.9927  0.208
H  6.1385  -1.2498  1.0570  0.461
H  6.1376  -0.9836  -0.3316  0.460
H  -0.4565  -1.4039  1.6853  0.518

Calculated values
relative energy (zero: lowest compared OMol25 entry of this formula, charge and spin) = 49.86 kJ/mol
highest occupied orbital energy (spin up / spin down) = -8.2 / -11.2 eV
⟨S²⟩ = 2.01
molar mass = 106.08 g mol⁻¹
spin multiplicity = 3
charge = 0


(3)
A 2-piece molecular cluster, C2H6N2O3S overall, computed with ωB97M-V with the def2-TZVPD basis set.

Last column: natural (NBO) charge in e.